Entries =
-- begin --
164
Properties=species:S:1:pos:R:3:mulliken_charge:R:1 method="wB97M-V/def2-TZVPD" total_energy_ha=-2950.039013 orbital_gap_ev=7.415 e_above_lowest_ev=48.757 lumo_ev=0.403 total_charge=0
C -1.0487 -1.1572 -2.5130 -1.366
C -2.3366 -0.8462 -3.3906 1.025
C -2.7914 -2.0805 -4.2718 -1.492
O -1.9248 -2.2780 -5.3621 -0.335
C -2.2911 -3.3100 -6.1894 -0.755
N -3.3224 -0.1962 -2.5003 -0.160
H -0.1580 -1.3378 -3.1148 0.546
H -1.1352 -1.9901 -1.8152 0.365
H -0.7590 -0.3044 -1.8990 0.305
H -2.0894 -0.0735 -4.1185 1.638
H -3.8095 -1.9208 -4.6269 0.554
H -2.8879 -2.9289 -3.5944 0.375
H -2.3599 -4.2174 -5.5894 0.276
H -1.6213 -3.5543 -7.0139 0.266
H -3.1569 -3.0996 -6.8173 0.313
H -2.7350 0.4177 -1.9542 -1.995
H -3.5112 -0.9464 -1.8509 0.471
C 0.2985 -0.9275 0.7373 -0.218
C -0.3749 0.4454 0.4544 -0.548
C 0.5480 1.5221 0.1555 -1.401
O -0.1586 2.7816 0.1106 0.147
C 0.5987 3.6708 -0.7670 -0.037
N -1.3523 0.2463 -0.5948 0.877
H 0.6754 -0.9941 1.7579 -1.820
H 1.1240 -1.1068 0.0485 1.125
H -0.3790 -1.7357 0.4621 -0.270
H -0.8522 0.8659 1.3395 -0.111
H 0.9795 1.3243 -0.8257 0.985
H 1.2354 1.7589 0.9677 0.643
H 0.4949 3.2585 -1.7707 -0.187
H 1.6187 3.8472 -0.4256 -0.178
H 0.0805 4.6291 -0.8023 -0.105
H -0.9497 -0.3644 -1.2912 0.677
H -1.4812 1.1663 -0.9911 -0.903
C -3.2384 2.0284 -2.1427 -0.874
C -2.9666 3.4475 -1.7230 0.874
O -3.6835 4.3537 -2.5684 -0.683
O -2.3422 1.7037 -3.1877 -0.761
H -4.2120 1.8016 -2.5773 0.655
H -3.0528 1.1808 -1.4830 0.516
H -1.9059 3.6891 -1.6553 -0.534
H -3.3512 3.5699 -0.7104 0.182
H -3.0898 4.5935 -3.2836 0.487
H -2.8256 1.8550 -4.0031 0.641
C 0.1312 1.4338 -3.1518 1.446
C -0.0525 2.5034 -4.2322 -1.419
O 0.5417 2.1453 -5.5140 -0.639
O -0.6753 0.3261 -3.4585 -0.916
H -0.0125 1.7655 -2.1235 0.414
H 1.1784 1.1433 -3.2354 -1.301
H 0.5516 3.3625 -3.9405 0.298
H -1.0850 2.8288 -4.3592 0.209
H -0.1055 1.6091 -5.9779 0.423
H -1.5404 0.6438 -3.1897 -0.254
C -3.1734 4.8577 1.8823 -1.270
C -2.5794 3.6909 1.1063 -0.500
O -1.2204 3.6620 1.4344 -0.692
O -2.3816 6.0275 1.8219 -0.465
H -3.2959 4.4942 2.9025 0.430
H -4.1573 4.8889 1.4142 0.368
H -2.6448 4.0567 0.0816 -0.108
H -3.1150 2.7438 1.0421 0.545
H -0.8329 3.1394 0.7285 1.677
H -1.6072 5.8626 2.3648 0.311
C -1.5195 7.1986 -0.3536 -1.107
C -1.0352 5.8243 -0.7713 -0.364
O 0.1523 6.0650 -1.5974 -0.696
O -0.4818 7.6795 0.4218 -0.616
H -2.4190 7.2081 0.2620 0.468
H -1.5851 8.0296 -1.0560 0.331
H -1.8734 5.2810 -1.2076 1.005
H -0.5793 5.2064 0.0023 0.970
H 0.7975 6.4174 -0.9800 0.503
H -0.8676 8.1985 1.1313 0.342
C 3.1637 1.0953 0.5080 -0.973
C 4.2973 1.7577 -0.3252 2.101
C 5.5925 0.9506 -0.3101 -1.410
C 5.7541 -0.2629 -1.1854 -0.670
C 5.2930 0.0462 -2.6490 -1.292
C 3.9217 0.6271 -2.7208 1.596
N 3.8041 1.7850 -1.7465 -0.627
O 2.5207 2.3176 -1.7961 0.554
C 3.7109 1.2216 -4.1491 -1.936
C 2.9084 -0.5180 -2.5388 -0.983
C 4.5784 3.1826 0.1018 -2.024
H 2.9038 0.1095 0.1223 -0.027
H 2.3006 1.7556 0.5935 -0.391
H 3.5548 0.8764 1.5016 0.921
H 6.5105 1.4974 -0.5258 0.412
H 5.8246 0.5894 0.6917 0.377
H 5.2272 -1.1152 -0.7564 0.341
H 6.8086 -0.5344 -1.2345 0.454
H 5.2401 -0.8789 -3.2231 0.426
H 5.9977 0.7291 -3.1237 0.334
H 2.7501 1.6996 -4.3398 0.269
H 4.4588 1.9804 -4.3791 0.514
H 3.7158 0.4445 -4.9135 0.331
H 2.9706 -1.2017 -3.3854 0.660
H 3.0762 -1.0117 -1.5817 0.256
H 1.9303 -0.0448 -2.4520 0.020
H 3.6531 3.7506 0.1983 0.194
H 5.2278 3.7214 -0.5882 0.472
H 5.0314 3.2030 1.0930 0.398
H 2.7557 3.1272 -2.2553 0.496
C 0.8340 -1.3630 2.7103 0.317
C 0.4168 -1.9763 4.0322 1.724
C 0.3383 -3.5926 4.0018 -1.091
C 1.6731 -4.2526 4.0373 -0.720
C 2.4137 -3.9018 5.2517 -1.569
C 2.5375 -2.3733 5.5273 1.796
N 1.2769 -1.6485 5.2452 0.302
O 1.4357 -0.2911 5.3535 -0.453
C 2.8446 -2.1801 7.0362 -2.048
C 3.8175 -1.7981 4.8973 -1.738
C -1.0493 -1.4883 4.4495 -1.863
H 1.2678 -0.3865 2.9255 1.127
H -0.0193 -1.2035 2.0511 -0.249
H 1.6699 -1.9122 2.2770 -0.051
H -0.1923 -3.9449 4.8863 1.144
H -0.1487 -3.9147 3.0815 -0.357
H 2.2671 -3.8876 3.1993 0.275
H 1.5491 -5.3316 3.9456 0.389
H 3.4073 -4.3105 5.0681 0.397
-- stop --

To do =
Find the line earlier on that holds "1.4344 -0.692", then write out that line and all lines after it there.

Written answer =
O -1.2204 3.6620 1.4344 -0.692
O -2.3816 6.0275 1.8219 -0.465
H -3.2959 4.4942 2.9025 0.430
H -4.1573 4.8889 1.4142 0.368
H -2.6448 4.0567 0.0816 -0.108
H -3.1150 2.7438 1.0421 0.545
H -0.8329 3.1394 0.7285 1.677
H -1.6072 5.8626 2.3648 0.311
C -1.5195 7.1986 -0.3536 -1.107
C -1.0352 5.8243 -0.7713 -0.364
O 0.1523 6.0650 -1.5974 -0.696
O -0.4818 7.6795 0.4218 -0.616
H -2.4190 7.2081 0.2620 0.468
H -1.5851 8.0296 -1.0560 0.331
H -1.8734 5.2810 -1.2076 1.005
H -0.5793 5.2064 0.0023 0.970
H 0.7975 6.4174 -0.9800 0.503
H -0.8676 8.1985 1.1313 0.342
C 3.1637 1.0953 0.5080 -0.973
C 4.2973 1.7577 -0.3252 2.101
C 5.5925 0.9506 -0.3101 -1.410
C 5.7541 -0.2629 -1.1854 -0.670
C 5.2930 0.0462 -2.6490 -1.292
C 3.9217 0.6271 -2.7208 1.596
N 3.8041 1.7850 -1.7465 -0.627
O 2.5207 2.3176 -1.7961 0.554
C 3.7109 1.2216 -4.1491 -1.936
C 2.9084 -0.5180 -2.5388 -0.983
C 4.5784 3.1826 0.1018 -2.024
H 2.9038 0.1095 0.1223 -0.027
H 2.3006 1.7556 0.5935 -0.391
H 3.5548 0.8764 1.5016 0.921
H 6.5105 1.4974 -0.5258 0.412
H 5.8246 0.5894 0.6917 0.377
H 5.2272 -1.1152 -0.7564 0.341
H 6.8086 -0.5344 -1.2345 0.454
H 5.2401 -0.8789 -3.2231 0.426
H 5.9977 0.7291 -3.1237 0.334
H 2.7501 1.6996 -4.3398 0.269
H 4.4588 1.9804 -4.3791 0.514
H 3.7158 0.4445 -4.9135 0.331
H 2.9706 -1.2017 -3.3854 0.660
H 3.0762 -1.0117 -1.5817 0.256
H 1.9303 -0.0448 -2.4520 0.020
H 3.6531 3.7506 0.1983 0.194
H 5.2278 3.7214 -0.5882 0.472
H 5.0314 3.2030 1.0930 0.398
H 2.7557 3.1272 -2.2553 0.496
C 0.8340 -1.3630 2.7103 0.317
C 0.4168 -1.9763 4.0322 1.724
C 0.3383 -3.5926 4.0018 -1.091
C 1.6731 -4.2526 4.0373 -0.720
C 2.4137 -3.9018 5.2517 -1.569
C 2.5375 -2.3733 5.5273 1.796
N 1.2769 -1.6485 5.2452 0.302
O 1.4357 -0.2911 5.3535 -0.453
C 2.8446 -2.1801 7.0362 -2.048
C 3.8175 -1.7981 4.8973 -1.738
C -1.0493 -1.4883 4.4495 -1.863
H 1.2678 -0.3865 2.9255 1.127
H -0.0193 -1.2035 2.0511 -0.249
H 1.6699 -1.9122 2.2770 -0.051
H -0.1923 -3.9449 4.8863 1.144
H -0.1487 -3.9147 3.0815 -0.357
H 2.2671 -3.8876 3.1993 0.275
H 1.5491 -5.3316 3.9456 0.389
H 3.4073 -4.3105 5.0681 0.397